(What to do)
What is needed: echo the contents further below without altering anything.
(Contents)
____________
Arrangement A

Computed, not measured: C45H41BrN4RuSSb2 as an isolated structure, with ωB97M-V/def2-TZVPD.

Output
Highest occupied orbital energy (spin up / spin down) ... -9.71 / -9.49 eV
Orbital gap (spin up / spin down) ... 0.21073 / 0.20660 Ha
Expectation value of S² ... 1.2328
M ... 1094.41 g mol⁻¹

```
! wB97M-V def2-TZVPD RIJCOSX def2/J DEFGRID3
* xyz 1 2
Ru 0.081 -0.596 1.548
C -3.877 -2.138 0.697
C -2.422 -1.862 0.879
N -1.929 -0.689 1.084
N -2.797 0.358 1.333
C -2.161 1.452 1.682
N -2.937 2.530 1.946
S -0.427 1.702 1.766
C -1.424 -2.963 0.880
C -1.776 -4.268 0.599
C -0.789 -5.244 0.555
C 0.519 -4.879 0.798
C 0.798 -3.555 1.099
N -0.148 -2.619 1.156
H -4.441 -1.218 0.794
H -4.233 -2.861 1.433
H -4.052 -2.559 -0.297
H -3.919 2.367 2.096
H -2.513 3.301 2.433
H -2.811 -4.511 0.404
H -1.041 -6.271 0.327
H 1.321 -5.603 0.765
H 1.803 -3.220 1.318
Br -1.338 -0.913 4.051
C 0.283 -1.086 5.022
C 0.156 -1.224 6.369
C 1.311 -1.384 7.161
C 2.531 -1.417 6.560
C 2.666 -1.271 5.155
C 3.959 -1.308 4.579
C 4.104 -1.147 3.240
C 2.963 -0.949 2.428
C 1.665 -0.889 2.903
C 1.521 -1.081 4.324
H -0.824 -1.212 6.826
H 1.215 -1.486 8.233
H 3.431 -1.545 7.149
H 4.814 -1.466 5.224
H 5.086 -1.173 2.784
H 3.162 -0.833 1.371
C 2.347 0.370 -2.892
C 1.418 1.291 -3.686
C -0.030 0.813 -3.647
Sb -0.744 1.225 -1.660
C -0.767 3.315 -1.983
C -1.657 3.837 -2.919
C -1.566 5.177 -3.273
C -0.593 5.987 -2.700
C 0.282 5.466 -1.759
C 0.195 4.128 -1.394
C -2.769 0.734 -1.985
C -3.108 -0.298 -2.854
C -4.446 -0.609 -3.062
C -5.436 0.103 -2.399
C -5.094 1.133 -1.531
C -3.760 1.448 -1.314
Sb 1.762 -0.038 -0.816
C 2.669 1.842 -0.104
C 3.352 2.699 -0.969
C 3.921 3.866 -0.475
C 3.824 4.173 0.876
C 3.175 3.304 1.741
C 2.607 2.133 1.254
C 1.036 -2.065 -1.717
C -0.284 -2.363 -2.011
C -0.596 -3.525 -2.714
C 0.414 -4.385 -3.123
C 1.738 -4.095 -2.814
C 2.049 -2.939 -2.103
H 3.355 0.783 -2.855
H 2.413 -0.613 -3.354
H 1.769 1.325 -4.722
H 1.490 2.315 -3.306
H -0.101 -0.251 -3.875
H -0.664 1.369 -4.339
H -2.417 3.213 -3.375
H -2.254 5.586 -4.002
H -0.521 7.028 -2.986
H 1.036 6.098 -1.305
H 0.873 3.730 -0.649
H -2.342 -0.846 -3.391
H -4.714 -1.406 -3.744
H -6.478 -0.139 -2.566
H -5.868 1.691 -1.020
H -3.499 2.256 -0.640
H 3.439 2.490 -2.024
H 4.440 4.535 -1.151
H 4.264 5.087 1.255
H 3.115 3.529 2.799
H 2.127 1.452 1.942
H -1.091 -1.703 -1.702
H -1.631 -3.759 -2.937
H 0.172 -5.277 -3.688
H 2.529 -4.764 -3.131
H 3.089 -2.725 -1.873
*
```

=====

Arrangement B

Computed, not measured: C45H41BrN4RuSSb2 as an isolated structure, with ωB97M-V/def2-TZVPD.

Output
Highest occupied orbital energy (spin up / spin down) ... -9.60 / -9.77 eV
Orbital gap (spin up / spin down) ... 0.24432 / 0.24218 Ha
Expectation value of S² ... 0.7624
M ... 1094.41 g mol⁻¹

```
! wB97M-V def2-TZVPD RIJCOSX def2/J DEFGRID3
* xyz 1 2
Ru -0.824 0.592 -0.555
C 2.444 -1.512 1.746
C 1.192 -0.999 1.142
N 1.180 -0.170 0.150
N 2.429 0.288 -0.228
C 2.753 0.121 -1.459
N 3.939 0.609 -1.911
S 1.820 -0.787 -2.677
C -0.159 -1.451 1.577
C -0.354 -2.386 2.589
C -1.642 -2.815 2.868
C -2.699 -2.313 2.126
C -2.434 -1.371 1.150
N -1.200 -0.926 0.887
H 3.103 -1.871 0.955
H 2.274 -2.317 2.451
H 2.958 -0.695 2.256
H 4.378 1.336 -1.368
H 4.099 0.612 -2.904
H 0.478 -2.776 3.152
H -1.815 -3.539 3.653
H -3.713 -2.640 2.304
H -3.229 -0.938 0.550
Br -1.346 -1.039 -2.465
C -0.736 -2.758 -1.853
C -1.778 -3.616 -1.625
C -1.562 -4.896 -1.089
C -0.297 -5.268 -0.765
C 0.802 -4.407 -1.000
C 2.092 -4.866 -0.642
C 3.194 -4.104 -0.882
C 3.037 -2.862 -1.512
C 1.802 -2.361 -1.852
C 0.622 -3.116 -1.589
H -2.785 -3.292 -1.850
H -2.400 -5.560 -0.928
H -0.099 -6.240 -0.333
H 2.180 -5.845 -0.190
H 4.184 -4.455 -0.623
H 3.918 -2.281 -1.754
C -4.008 2.206 -0.243
C -3.864 3.013 1.045
C -2.979 2.352 2.103
Sb -0.979 2.271 1.370
C -0.647 4.361 1.475
C -0.712 4.924 2.750
C -0.594 6.293 2.919
C -0.409 7.113 1.813
C -0.334 6.559 0.546
C -0.451 5.184 0.377
C 0.191 1.715 3.041
C -0.375 1.433 4.280
C 0.431 1.096 5.360
C 1.808 1.048 5.206
C 2.379 1.330 3.973
____________
(Response)
Arrangement A

Computed, not measured: C45H41BrN4RuSSb2 as an isolated structure, with ωB97M-V/def2-TZVPD.

Output
Highest occupied orbital energy (spin up / spin down) ... -9.71 / -9.49 eV
Orbital gap (spin up / spin down) ... 0.21073 / 0.20660 Ha
Expectation value of S² ... 1.2328
M ... 1094.41 g mol⁻¹

```
! wB97M-V def2-TZVPD RIJCOSX def2/J DEFGRID3
* xyz 1 2
Ru 0.081 -0.596 1.548
C -3.877 -2.138 0.697
C -2.422 -1.862 0.879
N -1.929 -0.689 1.084
N -2.797 0.358 1.333
C -2.161 1.452 1.682
N -2.937 2.530 1.946
S -0.427 1.702 1.766
C -1.424 -2.963 0.880
C -1.776 -4.268 0.599
C -0.789 -5.244 0.555
C 0.519 -4.879 0.798
C 0.798 -3.555 1.099
N -0.148 -2.619 1.156
H -4.441 -1.218 0.794
H -4.233 -2.861 1.433
H -4.052 -2.559 -0.297
H -3.919 2.367 2.096
H -2.513 3.301 2.433
H -2.811 -4.511 0.404
H -1.041 -6.271 0.327
H 1.321 -5.603 0.765
H 1.803 -3.220 1.318
Br -1.338 -0.913 4.051
C 0.283 -1.086 5.022
C 0.156 -1.224 6.369
C 1.311 -1.384 7.161
C 2.531 -1.417 6.560
C 2.666 -1.271 5.155
C 3.959 -1.308 4.579
C 4.104 -1.147 3.240
C 2.963 -0.949 2.428
C 1.665 -0.889 2.903
C 1.521 -1.081 4.324
H -0.824 -1.212 6.826
H 1.215 -1.486 8.233
H 3.431 -1.545 7.149
H 4.814 -1.466 5.224
H 5.086 -1.173 2.784
H 3.162 -0.833 1.371
C 2.347 0.370 -2.892
C 1.418 1.291 -3.686
C -0.030 0.813 -3.647
Sb -0.744 1.225 -1.660
C -0.767 3.315 -1.983
C -1.657 3.837 -2.919
C -1.566 5.177 -3.273
C -0.593 5.987 -2.700
C 0.282 5.466 -1.759
C 0.195 4.128 -1.394
C -2.769 0.734 -1.985
C -3.108 -0.298 -2.854
C -4.446 -0.609 -3.062
C -5.436 0.103 -2.399
C -5.094 1.133 -1.531
C -3.760 1.448 -1.314
Sb 1.762 -0.038 -0.816
C 2.669 1.842 -0.104
C 3.352 2.699 -0.969
C 3.921 3.866 -0.475
C 3.824 4.173 0.876
C 3.175 3.304 1.741
C 2.607 2.133 1.254
C 1.036 -2.065 -1.717
C -0.284 -2.363 -2.011
C -0.596 -3.525 -2.714
C 0.414 -4.385 -3.123
C 1.738 -4.095 -2.814
C 2.049 -2.939 -2.103
H 3.355 0.783 -2.855
H 2.413 -0.613 -3.354
H 1.769 1.325 -4.722
H 1.490 2.315 -3.306
H -0.101 -0.251 -3.875
H -0.664 1.369 -4.339
H -2.417 3.213 -3.375
H -2.254 5.586 -4.002
H -0.521 7.028 -2.986
H 1.036 6.098 -1.305
H 0.873 3.730 -0.649
H -2.342 -0.846 -3.391
H -4.714 -1.406 -3.744
H -6.478 -0.139 -2.566
H -5.868 1.691 -1.020
H -3.499 2.256 -0.640
H 3.439 2.490 -2.024
H 4.440 4.535 -1.151
H 4.264 5.087 1.255
H 3.115 3.529 2.799
H 2.127 1.452 1.942
H -1.091 -1.703 -1.702
H -1.631 -3.759 -2.937
H 0.172 -5.277 -3.688
H 2.529 -4.764 -3.131
H 3.089 -2.725 -1.873
*
```

=====

Arrangement B

Computed, not measured: C45H41BrN4RuSSb2 as an isolated structure, with ωB97M-V/def2-TZVPD.

Output
Highest occupied orbital energy (spin up / spin down) ... -9.60 / -9.77 eV
Orbital gap (spin up / spin down) ... 0.24432 / 0.24218 Ha
Expectation value of S² ... 0.7624
M ... 1094.41 g mol⁻¹

```
! wB97M-V def2-TZVPD RIJCOSX def2/J DEFGRID3
* xyz 1 2
Ru -0.824 0.592 -0.555
C 2.444 -1.512 1.746
C 1.192 -0.999 1.142
N 1.180 -0.170 0.150
N 2.429 0.288 -0.228
C 2.753 0.121 -1.459
N 3.939 0.609 -1.911
S 1.820 -0.787 -2.677
C -0.159 -1.451 1.577
C -0.354 -2.386 2.589
C -1.642 -2.815 2.868
C -2.699 -2.313 2.126
C -2.434 -1.371 1.150
N -1.200 -0.926 0.887
H 3.103 -1.871 0.955
H 2.274 -2.317 2.451
H 2.958 -0.695 2.256
H 4.378 1.336 -1.368
H 4.099 0.612 -2.904
H 0.478 -2.776 3.152
H -1.815 -3.539 3.653
H -3.713 -2.640 2.304
H -3.229 -0.938 0.550
Br -1.346 -1.039 -2.465
C -0.736 -2.758 -1.853
C -1.778 -3.616 -1.625
C -1.562 -4.896 -1.089
C -0.297 -5.268 -0.765
C 0.802 -4.407 -1.000
C 2.092 -4.866 -0.642
C 3.194 -4.104 -0.882
C 3.037 -2.862 -1.512
C 1.802 -2.361 -1.852
C 0.622 -3.116 -1.589
H -2.785 -3.292 -1.850
H -2.400 -5.560 -0.928
H -0.099 -6.240 -0.333
H 2.180 -5.845 -0.190
H 4.184 -4.455 -0.623
H 3.918 -2.281 -1.754
C -4.008 2.206 -0.243
C -3.864 3.013 1.045
C -2.979 2.352 2.103
Sb -0.979 2.271 1.370
C -0.647 4.361 1.475
C -0.712 4.924 2.750
C -0.594 6.293 2.919
C -0.409 7.113 1.813
C -0.334 6.559 0.546
C -0.451 5.184 0.377
C 0.191 1.715 3.041
C -0.375 1.433 4.280
C 0.431 1.096 5.360
C 1.808 1.048 5.206
C 2.379 1.330 3.973